Source code for

import datetime
import logging
import os
import threading
import time
from typing import Iterator, Optional, Union

-- Between two parts of the article: molecular data --
-- begin --
[1]
Density functional theory data (the ωB97M-V functional and the def2-TZVPD basis) for a single C5H10 molecule at a distorted geometry.

The geometry in XYZ format:
```
15
C5H10 (the ωB97M-V functional and the def2-TZVPD basis)
C -0.081 -0.832 1.328
C -0.489 0.277 0.411
C -1.570 -0.031 -0.648
C 0.766 0.842 -0.253
C 1.606 0.022 -0.919
H 0.293 -1.708 0.795
H -0.905 -1.314 1.876
H 0.694 -0.486 2.087
H -0.877 1.036 1.087
H -1.971 0.899 -1.139
H -2.373 -0.602 -0.169
H -1.152 -0.711 -1.437
H 0.941 1.968 -0.279
H 2.480 0.342 -1.507
H 1.479 -1.083 -0.826
```

Values from the calculation:
LUMO in eV: 1.186
SMILES: C=CC(C)C
Kohn-Sham gap in eV: 10.705
HOMO in Eh: -0.34981
Energy relative to the best compared isomer or geometry (same formula, charge and spin) in kJ/mol: 108.0

These are the natural (NBO) partial charges, in e, on atoms 1 to 5: -0.599, -0.281, -0.596, -0.166, -0.417

***

[2]
Density functional theory data (the ωB97M-V functional and the def2-TZVPD basis) for a gas-phase ion, C5H5F4N2 (charge +1) at a distorted geometry.

The geometry in XYZ format:
```
16
C5H5F4N2 (the ωB97M-V functional and the def2-TZVPD basis)
C -1.509 -0.404 -0.512
C -0.207 -0.875 -0.368
C -0.258 1.315 0.225
C 3.143 -0.443 -0.030
C 1.903 0.324 0.426
N -1.465 0.861 -0.205
N 0.597 0.158 0.266
F 2.724 -1.238 -0.999
F 3.837 -1.297 0.858
F 2.118 1.176 1.404
F 0.402 2.030 -0.863
H -2.313 -0.854 -1.112
H 0.119 -1.756 -0.669
H -0.332 2.068 1.010
H 3.967 0.307 -0.507
H -2.155 1.639 -0.269
```

Values from the calculation:
LUMO (spin up / spin down) in eV: -6.260 / -6.261
SMILES: F/C(C(F)F)=[N+]1/C=CN[C@@H]1F
Net charge: +1
Kohn-Sham gap (spin up / spin down) in eV: 7.272 / 7.271
HOMO (spin up / spin down) in Eh: -0.49731 / -0.49731
Energy relative to the best compared isomer or geometry (same formula, charge and spin) in kJ/mol: 285.3

These are the natural (NBO) partial charges, in e, on atoms 1 to 5: 0.106, -0.137, 0.463, 0.483, 0.709

***

[3]
Density functional theory data (the ωB97M-V functional and the def2-TZVPD basis) for a molecular structure, C32H48LiN6O5P.

The geometry in XYZ format:
```
93
C32H48LiN6O5P (the ωB97M-V functional and the def2-TZVPD basis)
Li -1.062 -0.979 0.749
O -2.071 5.006 4.683
C -2.801 4.690 3.506
C -2.190 3.473 2.869
C -1.594 2.484 3.637
C -1.085 1.365 3.000
N -1.143 1.189 1.678
C -1.734 2.132 0.943
C -2.256 3.291 1.496
C -1.815 1.834 -0.524
C -1.896 2.829 -1.486
C -2.019 2.473 -2.822
C -2.148 3.531 -3.887
O -3.433 4.145 -3.868
C -2.065 1.124 -3.135
C -1.966 0.193 -2.111
N -1.836 0.534 -0.833
H -2.476 5.771 5.100
H -2.792 5.517 2.791
H -3.847 4.470 3.747
H -1.520 2.591 4.711
H -0.613 0.572 3.571
H -2.733 4.037 0.869
H -1.849 3.876 -1.210
H -1.926 3.101 -4.867
H -1.437 4.336 -3.707
H -4.096 3.465 -4.028
H -2.162 0.794 -4.164
H -1.981 -0.874 -2.308
C -4.506 -1.499 0.556
N -4.200 -2.607 1.450
C -4.881 -3.888 1.252
C -3.114 -2.509 2.237
C -2.768 -3.708 3.084
O -2.416 -1.488 2.284
H -5.529 -1.609 0.203
H -3.819 -1.491 -0.290
H -4.409 -0.552 1.086
-- stop --
-- Here the article continues --

import openai

from banterbot.config import RETRY_LIMIT, RETRY_TIME
from import EnvVar
from banterbot.handlers.stream_handler import StreamHandler
from banterbot.managers.stream_manager import StreamManager
from banterbot.models.message import Message
from banterbot.models.openai_model import OpenAIModel
from banterbot.models.stream_log_entry import StreamLogEntry
from banterbot.utils.nlp import NLP

[docs] class OpenAIService: """ A class that handles the interaction with the OpenAI ChatCompletion API. It provides functionality to generate responses from the API based on the input messages. It supports generating responses as a whole or as a stream of response blocks. The main purpose of this class is to facilitate the communication with the OpenAI API and handle the responses generated by the API. It can be used to create chatbots or other applications that require natural language processing and generation. """ api_key_set = False client = None
[docs] def __init__(self, model: OpenAIModel) -> None: """ Initializes an `OpenAIService` instance for a specific model. Args: model (OpenAIModel): The OpenAI model to be used. This should be an instance of the OpenAIModel class, which contains information about the model, such as its name and maximum token limit. """ logging.debug(f"OpenAIService initialized") # Set the OpenAI API key if not self.__class__.api_key_set: api_key = os.environ.get(EnvVar.OPENAI_API_KEY.value) self.__class__.client = openai.OpenAI(api_key=api_key) self.__class__.api_key_set = True # The selected model that will be used in OpenAI ChatCompletion prompts. self._model = model # Indicates whether the current instance of `OpenAIService` is streaming. self._streaming = False # Set the interruption flag to zero: if interruptions are raised, this will be updated. self._interrupt = 0 # Initialize the StreamManager for handling streaming processes. self._stream_manager = StreamManager() self._stream_manager.connect_processor(self._processor) self._stream_manager.connect_completion_handler(self._completion_handler) # A list of active stream handlers. self._stream_handlers = [] self._stream_handlers_lock = threading.Lock()
[docs] def interrupt(self, kill: bool = False) -> None: """ Interrupts the current OpenAI ChatCompletion process. Args: kill (bool): Whether the interruption should kill the queues or not. """ self._interrupt = time.perf_counter_ns() with self._stream_handlers_lock: for handler in self._stream_handlers: handler.interrupt(kill=kill) self._stream_handlers.clear() logging.debug(f"OpenAIService Interrupted")
[docs] def count_tokens(self, string: str) -> int: """ Counts the number of tokens in the provided string. Args: string (str): A string provided by the user where the number of tokens are to be counted. Returns: int: The number of tokens in the string. """ return len(self._model.tokenizer.encode(string))
[docs] def prompt(self, messages: list[Message], split: bool = True, **kwargs) -> Union[tuple[str], str]: """ Sends messages to the OpenAI ChatCompletion API and retrieves the response as a list of sentences. Args: messages (list[Message]): A list of messages. Each message should be an instance of the `Message` class, which contains the content and role (user or assistant) of the message. split (bool): Whether the response should be split into sentences. **kwargs: Additional parameters for the API request. These can include settings such as temperature, top_p, and frequency_penalty. Returns: Union[list[str], str]: A list of sentences forming the response from the OpenAI API. This can be used to display the generated response to the user or for further processing. If `split` is False, returns a string. """ response = self._request(messages=messages, stream=False, **kwargs) logging.debug(f"OpenAIService stream processed block: `{response}`") sentences = NLP.segment_sentences(response) if split else response return sentences
[docs] def prompt_stream( self, messages: list[Message], init_time: Optional[int] = None, **kwargs ) -> Union[StreamHandler, tuple[()]]: """ Sends messages to the OpenAI API and retrieves the response as a stream of blocks of sentences. Args: messages (list[Message]): A list of messages. Each message should be an instance of the `Message` class, which contains the content and role (user or assistant) of the message. init_time (Optional[int]): The time at which the stream was initialized. **kwargs: Additional parameters for the API request. These can include settings such as temperature, top_p, and frequency_penalty. Returns: Union[StreamHandler, tuple[()]]: A handler for the stream of blocks of sentences forming the response from the OpenAI API or an empty tuple if the stream was interrupted. """ # Record the time at which the stream was initialized pre-lock, in order to account for future interruptions. init_time = time.perf_counter_ns() if init_time is None else init_time if self._interrupt >= init_time: return tuple() else: # Obtain a response from the OpenAI ChatCompletion API stream = self._request(messages=messages, stream=True, **kwargs) handler = iterable=stream, # close_stream=stream.response.close, init_shared_data={"text": "", "sentences": [], "init_time": init_time}, ) with self._stream_handlers_lock: self._stream_handlers.append(handler) return handler
@property def model(self) -> OpenAIModel: """ Return the `OpenAIModel` associated with the current instance. Returns: OpenAIModel """ return self._model def _processor(self, log: list[StreamLogEntry], index: int, shared_data: dict) -> list[str]: """ Parses a chunk of data from the OpenAI API response. Args: log (list[StreamLogEntry]): A list of `StreamLogEntry` instances containing the data from the OpenAI API response. index (int): The index of the current chunk of data. shared_data (dict): A dictionary containing shared data between the stream handler and the processor. Returns: list[str]: A list of sentences parsed from the chunk. """ if shared_data["interrupt"] >= shared_data["init_time"]: raise StopIteration else: if log[index].value.choices[0].delta.content is not None: shared_data["text"] += log[index].value.choices[0].delta.content shared_data["sentences"] = NLP.segment_sentences(shared_data["text"]) # If the current chunk is not the final chunk of data from the OpenAI API response, parse the chunk. if len(shared_data["sentences"]) > 1: shared_data["text"] = shared_data["sentences"][-1] logging.debug(f"OpenAIService yielded sentences: {shared_data['sentences'][:-1]}") return shared_data["sentences"][:-1] def _completion_handler(self, log: list[StreamLogEntry], shared_data: dict) -> list[str]: """ Handles the completion of the OpenAI API response. Args: log (list[StreamLogEntry]): A list of `StreamLogEntry` instances containing the data from the OpenAI API response. shared_data (dict): A dictionary containing shared data between the stream handler and the processor. Returns: list[str]: A list of sentences parsed from the chunk. """ if shared_data["interrupt"] >= shared_data["init_time"]: raise StopIteration else: # If the current chunk is the final chunk of data from the OpenAI API response, parse the final chunk. shared_data["sentences"] = NLP.segment_sentences(shared_data["text"]) logging.debug(f"OpenAIService yielded final sentences: {shared_data['sentences'][:-1]}") logging.debug("OpenAIService stream stopped") return shared_data["sentences"] def _request(self, messages: list[Message], stream: bool, **kwargs) -> Union[Iterator, str]: """ Sends a request to the OpenAI API and generates a response based on the specified parameters. Args: messages (list[Message]): A list of messages. Each message should be an instance of the `Message` class, which contains the content and role (user or assistant) of the message. stream (bool): Whether the response should be returned as an iterable stream or a complete text. **kwargs: Additional parameters for the API request. These can include settings such as temperature, top_p, and frequency_penalty. Returns: Union[Iterator, str]: The stream from the OpenAI API, either as a stream (Iterator) or text (str). """ kwargs["model"] = self._model.model kwargs["n"] = 1 kwargs["stream"] = stream kwargs["messages"] = [message() for message in messages] success = False for i in range(RETRY_LIMIT): try: response =**kwargs) success = True break except openai.RateLimitError: retry_timestamp = + datetime.timedelta(seconds=RETRY_TIME) retry_timestamp = datetime.datetime.strftime(retry_timestamp, "%H:%M:%S") error_message = ( f"OpenAIService encountered an OpenAI Rate Limiting Error - Attempt {i+1}/{RETRY_LIMIT}." f" Waiting {RETRY_TIME} seconds until {retry_timestamp} to retry." ) time.sleep(RETRY_TIME) except openai.APIError: retry_time = 0.25 retry_timestamp = + datetime.timedelta(seconds=retry_time) retry_timestamp = retry_timestamp.strftime("%H:%M:%S") error_message = ( f"OpenAIService encountered an OpenAI API Error - Attempt {i+1}/{RETRY_LIMIT}. Waiting " f"{retry_time} seconds until {retry_timestamp} to retry." ) time.sleep(retry_time) if not success: raise RuntimeError(f"OpenAIService encountered too many OpenAI API Errors; exiting program.") return response if stream else response.choices[0].message.content.strip()